Eels of the Tamar/Kanamaluka estuary
The freshwater ways of Tasmania have abundant populations of eels, and they were an important food source for people, before and after colonisation. In the streams and rivers around Launceston the most common species of eel was, and still is, the Short-finned Eel (Anguilla australis).
This eel can grow up to 3 kilograms and it can live for up to 24 years, spending around 14 years in freshwater. Eels are ecologically important in Tasmanian inland waterways because they are our largest, native, freshwater fish.

Short-finned eel (Anguilla australis). Wikimedia Commons.
One of the amazing things about eels is how long it takes them to reach full maturity; usually around 6 years but often up to 10 years, and females can take between 10 to 20 years. When they are ready to spawn, the eel’s digestive system shuts down and it then migrates to salt water. This is a journey of around 3000 kilometres north to the Coral Sea.
The females give birth to hundreds of thousands of baby eels that begin life as transparent larvae; then the mother eel dies. The larvae ride the tidal currents southward on their journey toward waters closer to where their mothers came from. These small creatures have this location information imprinted in their DNA so they instinctively migrate to, and follow, major rivers and estuaries into smaller habitats.
As they spend more time in the estuaries and rivers and streams, the larval eels (called ‘glass eels’ at this stage because they are still transparent) start to become darker in colour. It is at that stage they are known as known as ‘elvers’.
Short-finned Eels are mainly carnivorous (‘meat’ eaters); they feed on small fish, molluscs, and water-borne larvae of various other creatures. They feed mainly at dusk and into the night and forage around shorelines for food.
Archaeological and cultural evidence from places Like Lake Condah (Budj Bim) in Victoria tell us that for thousands of years, Aboriginal People cultivated eels as a food source and a valuable trade item. The eels were smoked, which preserved them for some time so they could be a regular part of their diet.
Follow this link to find out how the Gunditjmara People of southern Victoria built the Budj Bim eel trap system around 7,000 years ago.
Studies have shown that Aboriginal People of south-eastern mainland Australia had similar cultural practices to Tasmanian Aboriginal People. It is therefore reasonable to deduce that Tasmanian People would also have used eels as a valuable source of protein, especially when they were so abundant in the local waterways of the Launceston estuary.

Aboriginal People made woven eel traps from reeds and grasses (B. Wood)
To catch the eels, Tasmanian Aboriginal People may well have used the same type of woven conical shaped traps used at Lake Condah, made from local materials such as River Reed, Sagg, Blue Flax Lily and White Flag Iris.
Eels have a very tough, and slippery, skin so it can be difficult to grab hold of them (hence the expression, ‘As slippery as an eel’). Like Aboriginal People on the mainland, Tasmanian Aboriginal People must have overcome that issue and found a trusted method for trapping eels.
Another species of eel that is found in freshwater rivers is the Long-Finned Eel (Anguilla reinhardtii). This species is Australia’s largest freshwater eel. It is much larger than the Short-finned Eel; it grows to around 20 kilograms in weight and lives for up to sixty years. Like the Short-finned Eel, the Long-finned Eel also migrates out of the river systems it inhabits when it is ready to spawn and makes its way to the Coral Sea area where each one can spawn hundreds of thousands of larvae.

An advertisement listed the 1843 book’s recipes, including stewed and fried eel (Trove)

## Unrelated to this piece: calculated molecules
<<<
(P)
Molecular formula: C4H8N
Method: DFT, wB97M-V/def2-TZVPD

HOMO level (spin up / spin down), eV: -15.78 / -15.69
Gap between HOMO and LUMO (spin up / spin down), eV: 9.1749 / 7.5747
Charge: +1

Each line ends with the Mulliken charge.
Element x y z (Å)
C 0.7961 1.2814 0.4174  -0.676
C 1.4267 0.1001 -0.3792  -0.647
C -0.8621 -0.9553 0.8289  -0.206
C 0.0791 0.0025 0.1730  0.576
N -1.2475 -0.1918 -0.3398  -0.396
H 1.0022 1.5130 1.5093  0.248
H 0.8228 2.1249 -0.2580  0.292
H 1.5032 0.5932 -1.3277  0.251
H 2.2597 -0.5033 -0.2386  0.318
H -0.9068 -2.0548 0.6975  0.278
H -1.2104 -0.6639 1.8827  0.255
H -2.1110 -0.9347 -1.9705  0.393
H -1.7969 0.6241 -0.1111  0.314

***

(Q)
Molecular formula: C4H8N
Method: DFT, wB97M-V/def2-TZVPD

HOMO level, eV: -12.28
Gap between HOMO and LUMO, eV: 3.8631
Charge: +1

Each line ends with the Mulliken charge.
Element x y z (Å)
C -0.7093 -0.7829 -1.9742  0.233
C -1.6192 -0.6573 -2.7889  -0.358
C -0.4457 0.8813 1.3708  -0.468
C 1.7452 0.1139 1.8261  -0.711
N 0.3438 0.1138 1.8822  -0.297
H -1.6121 -1.4110 -3.5649  0.311
H -2.3231 0.1015 -2.9814  0.355
H -0.2622 1.5716 0.5664  0.382
H -1.4843 0.8066 1.6313  0.284
H 2.0362 0.9112 1.1366  0.306
H 2.1887 0.4304 2.7954  0.278
H 2.2126 -0.7259 1.3874  0.267
H -0.0705 -1.3531 -1.2868  0.418

***

It comes down to (Q), which is 0.0244 hartree more stable than the next structure.

***

(P)
Molecular formula: C3H8I2OSi
Method: DFT, wB97M-V/def2-TZVPD

HOMO level, eV: -8.97
Gap between HOMO and LUMO, eV: 8.4034
SMILES string: CC[Si](I)(I)OC
Charge: 0

Each line ends with the Mulliken charge.
Element x y z (Å)
C 1.2223 -1.7009 -0.7752  -1.099
C -1.7107 1.9012 -0.5984  -0.691
C 1.3833 -0.6639 0.3081  -0.416
O -0.6254 1.2686 -0.0523  -0.076
Si -0.2302 0.0663 0.9422  0.121
I 0.5079 0.6804 3.7602  -0.329
I -2.2421 -1.2592 1.1213  -0.032
H 1.0691 -2.6824 -0.4344  0.336
H 0.3535 -1.3939 -1.4236  0.300
H 2.1654 -1.7800 -1.4834  0.272
H -2.2294 1.2271 -1.2132  0.342
H -1.2873 2.7366 -1.1547  0.248
H -2.3977 2.2793 0.1942  0.282
H 1.9193 0.1682 -0.2501  0.279
H 2.1021 -0.8472 1.0593  0.463

***

(Q)
Molecular formula: C3H8I2OSi
Method: DFT, wB97M-V/def2-TZVPD

HOMO level (spin up / spin down), eV: -8.09 / -7.21
Gap between HOMO and LUMO (spin up / spin down), eV: 6.2564 / 4.5549
Charge: 0

Each line ends with the Mulliken charge.
Element x y z (Å)
C -1.1481 0.3254 -2.2304  -1.274
C 1.1297 -0.0991 2.4282  -0.394
C -1.3791 0.6808 -0.8051  -0.283
O 0.0504 0.1289 1.6198  -0.152
Si -0.2295 -0.4975 0.2014  0.369
I 4.1067 0.1563 -0.2705  -0.463
I -0.2101 -2.9934 0.1238  -0.029
H -1.5490 -0.6490 -2.4313  0.378
H -1.6576 1.0562 -2.8631  0.312
H -0.1623 0.1502 -2.6468  0.392
H 2.1289 0.1474 1.9331  0.037
H 1.3070 -1.1146 3.0031  0.240
H 1.1039 0.6372 3.2238  0.250
H -2.3734 0.2363 -0.5822  0.278
H -1.1175 1.8349 -0.7036  0.339

***

It comes down to (P), which is 0.1076 hartree more stable than the next structure.

***

(P)
Molecular formula: CH14N2O4
Method: DFT, wB97M-V/def2-TZVPD
>>>

Eel recipes from the 1830 English cookbook (Wellcome Collection)
Today, many people don’t like the look or taste of eel and refuse to eat it. However, in England, a cookbook written by a Mrs Deborah Irwin dated to the 1830s, called The Housewife’s Guide; or an Economical and Domestic Art of Cookery [1] had recipes for eel, showing that Europeans of those times were also fond of eating them.
An 1843 newspaper advertisement, apparently for an Australianised version of the cookbook, noted that it provided many delicious recipes for cooking eel and other seafood. In 1844 the Australian version was advertised as Mrs Irving’s Housewife’s Guide, and it may be the earliest Australian cookbook.
Seals in Cataract Gorge
As the tiny eels made their way back through Bass Strait to estuaries and river systems from January to May, they attracted the attention of seals who lived on the rocky islands in Bass Strait. Seals would then follow the food trail of the eels into some of the smaller rivers and streams, often ending up as far inland as the Cataract Gorge. Even today you can see seals frolicking in the water and sunning themselves on the rocks in the Gorge during the summer.
Seals were a valuable source of food for Tasmanian Aboriginal People. They would usually target the young and at one site on the far west coast of Tasmania, Bluff Hill Point, it is possible to see where the Aboriginal People constructed a rather complex bank of stones to create a wall above the shoreline that they would hide behind as they waited for the young seals to come up the shore.
Seals prefer rocky terrains and as the young basked in the sun the hunters would come from behind the wall and kill the seal quickly, most likely using a blow to the head with waddy. The carcass would then be dragged back behind the wall and into hollowed depressions in the rocks where they would be processed.

_Here the page breaks off for molecular data_
********
Density functional theory data (the ωB97M-V functional and the def2-TZVPD basis) for C25H21Cl5N4O5S2SiSr as an isolated structure.

The geometry in XYZ format:
```
64
Properties=species:S:1:pos:R:3:lowdin_charge:R:1
Sr -0.773 0.651 0.411 1.315
O -1.611 5.860 4.272 0.042
C -1.679 4.732 3.501 -0.295
C -2.089 4.784 2.174 0.034
C -2.108 3.606 1.451 -0.232
N -1.764 2.443 1.991 0.038
C -1.383 2.392 3.266 -0.182
C -1.322 3.516 4.070 0.059
C -0.962 1.001 3.767 -0.650
O -1.004 0.809 4.983 -0.001
O -0.610 0.206 2.844 -0.197
C -2.470 3.568 -0.045 -0.671
O -3.021 4.572 -0.507 -0.016
O -2.145 2.497 -0.634 -0.180
H -1.861 6.610 3.719 0.097
H -2.376 5.706 1.681 0.119
H -1.006 3.432 5.099 0.124
C 0.152 -5.150 -2.062 -0.218
Si -1.674 -5.078 -1.654 0.497
C -2.542 -5.867 -3.141 -0.200
C -2.015 -6.168 -0.159 -0.183
C -2.476 -3.405 -1.378 -0.271
C -3.802 -3.231 -1.734 -0.116
C -4.451 -2.009 -1.559 -0.100
C -3.713 -0.975 -1.025 -0.159
N -2.448 -1.107 -0.632 -0.091
C -1.808 -2.296 -0.766 -0.804
S -0.214 -2.402 -0.137 0.501
H 0.411 -6.166 -2.382 0.021
H 0.754 -4.874 -1.202 -0.011
H 0.401 -4.463 -2.873 0.029
H -2.129 -6.864 -3.320 0.019
H -2.378 -5.269 -4.040 0.030
H -3.620 -5.977 -3.003 0.012
H -1.633 -7.182 -0.306 0.019
H -3.088 -6.230 0.041 0.023
H -1.533 -5.741 0.722 0.028
H -4.352 -4.054 -2.181 0.083
H -5.483 -1.863 -1.849 0.084
H -4.140 0.015 -0.899 0.109
C 3.116 -0.631 1.007 -0.034
N 3.912 0.560 1.253 -0.104
C 4.222 1.537 0.322 -0.060
C 4.858 2.531 0.967 -0.081
N 4.930 2.143 2.297 0.047
C 4.366 0.919 2.480 -0.868
S 4.257 0.061 3.910 0.501
H 2.824 -0.651 -0.041 0.065
H 2.222 -0.613 1.632 0.083
H 3.689 -1.522 1.260 0.087
H 3.926 1.450 -0.707 0.103
H 5.218 3.479 0.611 0.105
H 5.283 2.677 3.068 0.133
Cl 1.555 -0.524 -2.847 0.616
C 1.954 1.124 -2.396 -0.741
C 1.369 1.644 -1.252 -0.231
C 1.715 2.957 -0.975 -0.730
Cl 1.047 3.689 0.466 0.706
C 2.600 3.713 -1.738 -0.725
Cl 3.021 5.337 -1.299 0.627
C 3.178 3.133 -2.865 -0.723
Cl 4.291 4.035 -3.839 0.622
C 2.846 1.825 -3.207 -0.725
Cl 3.563 1.099 -4.611 0.620
```

Calculated values
- Electronic energy: -135468.7495 eV
- Kohn-Sham gap: 0.2374 Ha
- Spin multiplicity: 1
- Total charge: -2
- Energy relative to the best compared isomer or geometry (same formula, charge and spin): 42.5 kJ/mol
********

Australian fur seals basking in the sun on rocks (Wikimedia Commons)
Eels and seals were integral to Tasmanian Aboriginal life and a valuable source of much-needed nutrition. Tasmanian Aboriginal People had complex means of harvesting and processing these animals which was done on a sustainable basis in order to maintain stocks of the food sources for the future.
Seals were a valuable source of protein and fat that could be mixed with ochre and smeared over the body as a means of insulation in colder weather and sun protection in the summer.
The main species of seal that makes its way to Cataract Gorge is the Australian Fur Seal. Males can live for up to 18 years and females can live as long as 27 years. Males can grow to a weight of over 200 kilograms which can pose problems when the seals follow the elvers and glass eels along rivers and streams that flow into suburban areas.

Quantum chemistry results, kept here for reference:
A:
Entry from the OMol25 dataset: a molecular structure, C27H40Ge2P2Pd (ωB97M-V/def2-TZVPD).

Computed properties:
HOMO-LUMO gap (spin up / spin down) (eV): 6.101 / 5.697

Structure (ORCA input):
```
! wB97M-V def2-TZVPD RIJCOSX def2/J DEFGRID3
* xyz 3 2
Pd 0.8716 -0.1885 0.0943
C 3.2917 -0.5180 2.8042
P 1.6562 0.0256 2.3029
C 0.4494 -0.7479 3.3874
C 1.6290 1.8348 2.5822
C 0.8135 2.6405 1.5750
P 1.2983 2.1638 -0.1123
C 3.0381 2.6310 -0.2509
C 0.4131 3.1704 -1.3162
H 3.4800 -0.1669 3.8224
H 4.0467 -0.1157 2.1298
H 3.3483 -1.6049 2.7921
H 0.7322 -0.5314 4.4209
H 0.4503 -1.8271 3.2271
H -0.5508 -0.3594 3.1927
H 2.6739 2.1535 2.5726
H 1.2638 2.0204 3.5958
H 0.9945 3.7078 1.7298
H -0.2628 2.4784 1.6844
H 3.1520 3.6492 0.1299
H 3.3515 2.6242 -1.2945
H 3.6806 1.9557 0.3124
H 0.5100 4.2288 -1.0644
H -0.6384 2.8926 -1.3579
H 0.8571 2.9954 -2.2979
C 4.7511 -2.5380 -1.3406
C 3.9618 -3.1166 -0.3509
C 2.8916 -2.4177 0.1917
C 2.6195 -1.1551 -0.3110
C 3.3935 -0.5456 -1.2801
C 4.4599 -1.2670 -1.8131
H 5.5962 -3.0812 -1.7416
H 4.1781 -4.1141 0.0095
H 2.2753 -2.8852 0.9471
H 3.1694 0.4325 -1.6855
H 5.0588 -0.8171 -2.5938
C -3.2798 3.2532 -0.0997
Ge -3.4402 1.4225 0.5317
C -3.2573 1.3807 2.4689
C -4.9361 0.3846 -0.2076
Ge -1.7961 -0.1238 -0.5514
C -1.6395 -0.0950 -2.4514
C -1.0534 -1.0983 -3.2410
C -1.0647 -0.9867 -4.6199
C -1.6711 0.1105 -5.2264
C -2.2680 1.1085 -4.4607
C -2.2420 1.0142 -3.0825
C -1.3245 -1.8070 0.2696
C -2.1509 -2.1690 1.3558
C -2.0166 -3.4065 1.9576
C -1.0083 -4.2723 1.5358
C -0.1558 -3.9150 0.5009
C -0.3153 -2.6950 -0.1463
H -4.2720 3.7065 -0.0553
H -2.9306 3.3415 -1.1266
H -2.6302 3.8259 0.5622
H -4.1591 1.8059 2.9130
H -2.4208 2.0039 2.7873
H -3.1442 0.3765 2.8710
H -5.8438 0.9901 -0.1831
H -5.1140 -0.5092 0.3904
H -4.7523 0.1037 -1.2447
H -0.6281 -1.9834 -2.7969
H -0.6220 -1.7647 -5.2271
H -1.6918 0.1800 -6.3062
H -2.7586 1.9445 -4.9409
H -2.7205 1.7877 -2.4950
H -2.9365 -1.5057 1.6904
H -2.6939 -3.7024 2.7481
H -0.8968 -5.2380 2.0125
H 0.6120 -4.6018 0.1677
H 0.3180 -2.4742 -0.9940
*
```

Mulliken population analysis, charges in e, atoms 1 to 6: Pd -0.442; C -1.266; P 1.072; C -1.144; C -1.492; C -0.250



B:
Entry from the OMol25 dataset: a molecular structure, C27H40Ge2P2Pd (ωB97M-V/def2-TZVPD).

Computed properties:
HOMO-LUMO gap (spin up / spin down) (eV): 6.942 / 6.361

Structure (ORCA input):
```
! wB97M-V def2-TZVPD RIJCOSX def2/J DEFGRID3
* xyz 3 2
Pd -0.3545 -1.1243 1.6010
C 1.2391 -4.1329 0.4562
P -0.1857 -3.3983 1.2818
C -1.6368 -4.0083 0.3949
C -0.2193 -4.2043 2.9252
C -1.2275 -3.5211 3.8381
P -0.9186 -1.7242 3.8191
C 0.4648 -1.4348 4.9473
C -2.3580 -0.9273 4.5645
H 1.1675 -5.2200 0.5352
H 2.1662 -3.7975 0.9199
H 1.2494 -3.8595 -0.5980
H -1.6043 -5.0982 0.3434
H -1.6400 -3.6013 -0.6171
H -2.5533 -3.6999 0.8973
H 0.7912 -4.1480 3.3383
H -0.4505 -5.2636 2.7911
H -1.1644 -3.9014 4.8595
H -2.2505 -3.6888 3.4928
H 0.2053 -1.7906 5.9462
H 0.6818 -0.3680 4.9975
H 1.3586 -1.9551 4.6044
H -2.5067 -1.3202 5.5726
H -3.2500 -1.1224 3.9706

The Examiner, December 27, 2016.
They can also end up in places not meant for seals, such as on someone’s car parked in their front yard! In 2016, a 200kg male Australian Fur Seal found its way into the front yard of a house in the Launceston suburb of Newstead and decided to use the owners’ Toyota Camry as a sunbed. It did not go well for the Camry, but the enormous seal, called Lou Seal by the police, did get some coverage in the local media.
Notes and references
[1] Newling, J., & Vincent, A. (2022). Fern syrup, stewed eel and native currant jam: this 1843 recipe collection may be Australia’s earliest cookbook. The Conversation, April 27.